[Source]
- - -
Here is an optimized crystal structure of Ta2MoO8 from Alexandria via LeMat-Bulk. Energies are from PBE+U.

Results
Energy above the most stable polymorph in this dataset (eV/atom): 0.0000

Lattice parameters (Å, degrees): 5.500 5.515 6.880 79.24 79.65 65.82
Space group P-1 (No. 2)
Symmetry-distinct sites (fractional):
Ta1 0.100 0.091 0.291
Mo1 0.500 0.500 0.000
O1 0.121 0.119 0.557
O2 0.199 0.671 0.844
O3 0.316 0.303 0.172
O4 0.341 0.785 0.169


Record 1
## Cs2ThGaS4 (PBE-GGA)

Data for a geometry-optimized Cs2ThGaS4 structure.

Output
ΔE_f (raw) (meV per atom): -1147

a b c (Å): 15.1113 13.5416 8.1981
angles (deg): 84.25 63.08 32.67
Atoms (fractional coordinates):
Cs  0.0546  0.0546  0.6954
Cs  0.3046  0.3046  0.9454
Cs  0.6954  0.6954  0.0546
Cs  0.9454  0.9454  0.3046
Th  0.1250  0.1250  0.1250
Th  0.8750  0.8750  0.8750
Ga  0.3750  0.3750  0.3750
Ga  0.6250  0.6250  0.6250
S  0.0169  0.6366  0.5483
S  0.2982  0.5483  0.6366
S  0.3634  0.9831  0.7018
S  0.4517  0.7018  0.9831
S  0.5483  0.2982  0.0169
S  0.6366  0.0169  0.2982
S  0.7018  0.4517  0.3634
S  0.9831  0.3634  0.4517


Record 2
## Cs2TlGaS4 (PBE-GGA)

Data for a geometry-optimized Cs2TlGaS4 structure.

Output
ΔE_f (raw) (meV per atom): -812

a b c (Å): 14.2690 12.7080 7.8997
angles (deg): 84.20 62.38 33.42
Atoms (fractional coordinates):
Cs  0.0545  0.0545  0.6955
Cs  0.3045  0.3045  0.9455
Cs  0.6955  0.6955  0.0545
Cs  0.9455  0.9455  0.3045
Tl  0.1250  0.1250  0.1250
Tl  0.8750  0.8750  0.8750
Ga  0.3750  0.3750  0.3750
Ga  0.6250  0.6250  0.6250
S  0.0075  0.6389  0.5578
S  0.2957  0.5578  0.6389
S  0.3611  0.9925  0.7043
S  0.4422  0.7043  0.9925
S  0.5578  0.2957  0.0075
S  0.6389  0.0075  0.2957
S  0.7043  0.4422  0.3611
S  0.9925  0.3611  0.4422


No. 1
# FePBrCl2 | the Alexandria database | SCAN | PBEsol geometry
data_FePBrCl2
_space_group_name_H-M_alt 'P 1'
_space_group_IT_number 1
_cell_length_a 5.037
_cell_length_b 5.037
_cell_length_c 4.923
_cell_angle_alpha 90.00
_cell_angle_beta 90.00
_cell_angle_gamma 90.00
loop_
_space_group_symop_operation_xyz
'x,y,z'
loop_
_atom_site_label
_atom_site_type_symbol
_atom_site_fract_x
_atom_site_fract_y
_atom_site_fract_z
P1 P 0.000 0.000 0.500
Fe1 Fe 0.500 0.500 0.500
Br1 Br 0.000 0.000 0.000
Cl1 Cl 0.000 0.500 0.000
Cl2 Cl 0.500 0.000 0.000
# symmetry: No. 123
# mass density: 3.16 Mg/m³
# N(E_F): 0.74 states/eV per atom
# crystal system: tetragonal
# formation energy from raw total energies: 5.6 eV/f.u.



No. 2
# CdFe3Tc | the Alexandria database | SCAN | PBEsol geometry
data_CdFe3Tc
_space_group_name_H-M_alt 'P 1'
_space_group_IT_number 1
_cell_length_a 4.371
_cell_length_b 4.371
_cell_length_c 4.371
_cell_angle_alpha 90.00
_cell_angle_beta 90.00
_cell_angle_gamma 90.00
loop_
_space_group_symop_operation_xyz
'x,y,z'
loop_
_atom_site_label
_atom_site_type_symbol
_atom_site_fract_x
_atom_site_fract_y
_atom_site_fract_z
Fe1 Fe 0.000 0.500 0.000
Fe2 Fe 0.000 0.000 0.500
Fe3 Fe 0.500 0.000 0.000
Tc1 Tc 0.000 0.000 0.000
Cd1 Cd 0.500 0.500 0.500
# symmetry: No. 221
# mass density: 7.51 Mg/m³
# N(E_F): 0.85 states/eV per atom
# total energy: -112.89 eV/cell
# crystal system: cubic



No. 3
# Co2BSb | the Alexandria database | SCAN | PBEsol geometry
data_Co2BSb
_space_group_name_H-M_alt 'P 1'
_space_group_IT_number 1
_cell_length_a 4.359
_cell_length_b 4.359
_cell_length_c 6.696
_cell_angle_alpha 108.99
_cell_angle_beta 108.99
_cell_angle_gamma 90.00
loop_
_space_group_symop_operation_xyz
'x,y,z'
loop_
_atom_site_label
_atom_site_type_symbol
_atom_site_fract_x
_atom_site_fract_y
_atom_site_fract_z
Sb1 Sb 0.250 0.750 0.500
Sb2 Sb 0.000 0.000 0.000
B1 B 0.750 0.250 0.500
B2 B 0.500 0.500 0.000
Co1 Co 0.518 0.875 0.250
Co2 Co 0.732 0.375 0.250
Co3 Co 0.125 0.268 0.750
Co4 Co 0.625 0.482 0.750
# symmetry: No. 122
# mass density: 7.36 Mg/m³
# N(E_F): 0.67 states/eV per atom
# crystal system: tetragonal
# formation energy from raw total energies: 2.0 eV/f.u.



What is the mass density in the third record? 7.36 Mg/m³
- - -

[Activity]
It remains to count the lines further up that contain the word "density" and give the number alone.

[Result]
4